Wanted:
Filter the rows further down: keep the lines with the word "data_FeCu3S8".
Input:
Record 1
Density functional theory data (GGA-PBEsol) for a relaxed structure of BaMoAs.

Output
Magnetic moment ... 1.509 μB per atom
Electronic total energy ... -16.87 eV/f.u.

```
data_BaMoAs
_chemical_formula_sum 'Ba4 Mo4 As4'
_symmetry_space_group_name_H-M 'F -4 3 m'
_symmetry_Int_Tables_number 216
_symmetry_space_group_name_Hall 'F -4 2 3'
_cell_length_a 7.093
_cell_length_b 7.093
_cell_length_c 7.093
_cell_angle_alpha 90.00
_cell_angle_beta 90.00
_cell_angle_gamma 90.00
loop_
_atom_site_label
_atom_site_type_symbol
_atom_site_fract_x
_atom_site_fract_y
_atom_site_fract_z
Ba1 Ba 0.000 0.000 0.000
Mo1 Mo 0.000 0.000 0.500
As1 As 0.250 0.250 0.250
```

Record 2
Density functional theory data (GGA-PBEsol) for a relaxed structure of TaAg4P.

Output
Magnetic moment ... 0.210 μB per atom
Electronic total energy ... -27.53 eV/f.u.

```
data_TaAg4P
_chemical_formula_sum 'Ta4 Ag16 P4'
_symmetry_space_group_name_H-M 'F -4 3 m'
_symmetry_Int_Tables_number 216
_symmetry_space_group_name_Hall 'F -4 2 3'
_cell_length_a 7.466
_cell_length_b 7.466
_cell_length_c 7.466
_cell_angle_alpha 90.00
_cell_angle_beta 90.00
_cell_angle_gamma 90.00
loop_
_atom_site_label
_atom_site_type_symbol
_atom_site_fract_x
_atom_site_fract_y
_atom_site_fract_z
Ta1 Ta 0.000 0.000 0.000
Ag1 Ag 0.125 0.125 0.375
P1 P 0.250 0.250 0.750
```

Record 3
Density functional theory data (GGA-PBEsol) for a relaxed structure of ScAlPb2.

Output
Magnetic moment ... 0.000 μB per atom
Electronic total energy ... -19.24 eV/f.u.

```
data_ScAlPb2
_chemical_formula_sum 'Sc2 Al2 Pb4'
_symmetry_space_group_name_H-M 'I m m 2'
_symmetry_Int_Tables_number 44
_symmetry_space_group_name_Hall 'I 2 -2'
_cell_length_a 4.280
_cell_length_b 4.310
_cell_length_c 9.972
_cell_angle_alpha 90.00
_cell_angle_beta 90.00
_cell_angle_gamma 90.00
loop_
_atom_site_label
_atom_site_type_symbol
_atom_site_fract_x
_atom_site_fract_y
_atom_site_fract_z
Sc1 Sc 0.000 0.000 0.000
Al1 Al 0.000 0.500 0.749
Pb1 Pb 0.000 0.000 0.499
Pb2 Pb 0.000 0.500 0.250
```

Record 4
Density functional theory data (GGA-PBEsol) for a relaxed structure of FeCu3S8.

Output
Magnetic moment ... 0.000 μB per atom
Distance to the lowest polymorph of the same formula ... 8 meV per atom
Electronic total energy ... -60.53 eV/f.u.
Formation energy without anion corrections ... -0.29 eV per atom

```
data_FeCu3S8
_chemical_formula_sum 'Fe2 Cu6 S16'
_symmetry_space_group_name_H-M 'P 1 21/c 1'
_symmetry_Int_Tables_number 14
_symmetry_space_group_name_Hall '-P 2ybc'
_cell_length_a 5.581
_cell_length_b 5.587
_cell_length_c 12.553
_cell_angle_alpha 90.00
_cell_angle_beta 115.90
_cell_angle_gamma 90.00
loop_
_atom_site_label
_atom_site_type_symbol
_atom_site_fract_x
_atom_site_fract_y
_atom_site_fract_z
Fe1 Fe 0.000 0.000 0.000
Cu1 Cu 0.250 0.002 0.748
Cu2 Cu 0.500 0.000 0.500
S1 S 0.052 0.623 0.951
S2 S 0.088 0.598 0.688
S3 S 0.402 0.105 0.300
S4 S 0.428 0.099 0.050
```

Record 5
Density functional theory data (GGA-PBEsol) for a relaxed structure of NiAs2Pb.

Output
Magnetic moment ... 0.000 μB per atom
Electronic total energy ... -20.19 eV/f.u.

```
data_NiAs2Pb
_chemical_formula_sum 'Ni1 As2 Pb1'
_symmetry_space_group_name_H-M 'P 4/m m m'
_symmetry_Int_Tables_number 123
_symmetry_space_group_name_Hall '-P 4 2'
_cell_length_a 3.074
_cell_length_b 3.074
_cell_length_c 8.028
_cell_angle_alpha 90.00
_cell_angle_beta 90.00
_cell_angle_gamma 90.00
loop_
_atom_site_label
_atom_site_type_symbol
_atom_site_fract_x
_atom_site_fract_y
_atom_site_fract_z
Ni1 Ni 0.000 0.000 0.000
As1 As 0.500 0.500 0.171
Pb1 Pb 0.000 0.000 0.500
```

Record 6
Density functional theory data (GGA-PBEsol) for a relaxed structure of Ca2CrPb.

Output
Magnetic moment ... 1.186 μB per atom
Electronic total energy ... -17.93 eV/f.u.

```
data_Ca2CrPb
_chemical_formula_sum 'Ca2 Cr1 Pb1'
_symmetry_space_group_name_H-M 'P 4/m m m'
_symmetry_Int_Tables_number 123
_symmetry_space_group_name_Hall '-P 4 2'
_cell_length_a 3.827
_cell_length_b 3.827
_cell_length_c 7.455
Here it is:
data_FeCu3S8